(Work order)
Your job: find the line further below that holds "Geometry (Å):", then repeat that line and all lines after it there.

(Listing)
........
Computed, not measured: a molecular structure, C20H45Li4N3O12, with ωB97M-V/def2-TZVPD.

* spin multiplicity: 1
* charge: 0
* HOMO energy: -3.448 eV
* M: 547.35 u
* F_max: 7.5 eV/A
* E_tot: -1885.86330 Eh

Each line ends with the Löwdin charge.
Geometry (Å):
Li -7.3355 2.9372 1.3449  0.645
Li 0.8321 -0.8307 0.9654  0.832
Li -3.9489 1.8614 4.5390  0.861
Li -4.1786 2.7466 -1.9351  0.696
C -8.7220 2.4113 4.7451  -1.193
O -7.5391 2.7223 4.6321  -0.151
O -9.1606 2.0058 5.7968  -0.035
O -9.5063 2.3407 3.7665  -0.094
C -2.6102 0.9973 0.9681  -1.226
O -3.7834 1.5409 0.9860  -0.238
O -1.9899 1.0741 -0.0698  -0.142
O -2.0933 0.5207 1.9419  -0.124
C 3.3113 6.1667 -1.7849  -0.129
O 3.0080 5.1137 -0.9125  -0.180
C 4.1502 4.4534 -0.4780  -0.234
C 3.7439 3.1587 0.3237  -0.182
N 3.0241 2.0985 -0.4105  -0.052
C 3.9089 1.6524 -1.4818  -0.205
C 3.3277 0.3915 -2.2528  -0.191
O 2.9354 -0.6839 -1.4230  -0.206
C 3.3316 -1.9722 -1.7493  -0.125
H 4.1182 6.8695 -1.5775  0.086
H 2.4852 6.8726 -1.8715  0.088
H 3.5455 5.7680 -2.7719  0.087
H 4.4895 5.1965 0.2437  0.121
H 4.9197 4.2877 -1.2320  0.114
H 3.0586 3.4731 1.1108  0.114
H 4.5769 2.6881 0.8460  0.112
H 2.1369 2.4564 -0.7343  0.114
H 4.9355 1.5061 -1.1460  0.119
H 4.0299 2.3374 -2.3210  0.105
H 4.0172 0.0818 -3.0382  0.114
H 2.4777 0.7531 -2.8315  0.115
H 3.8004 -2.3086 -0.8245  0.080
H 4.2205 -2.1055 -2.3659  0.094
H 2.4656 -2.6010 -1.9560  0.091
C 6.0431 -3.5636 3.7275  -0.114
O 5.1983 -3.4272 4.8814  -0.213
C 4.5822 -2.0862 4.8769  -0.156
C 3.0504 -2.4093 4.9443  -0.198
N 2.5960 -3.2397 3.8046  -0.049
C 1.2944 -3.9470 4.0357  -0.197
C 1.4211 -5.1794 4.8797  -0.221
O 2.2638 -6.1694 4.2437  -0.182
C 2.4494 -7.2998 5.0223  -0.135
H 6.8394 -2.8245 3.8152  0.079
H 5.5828 -3.4070 2.7519  0.083
H 6.5322 -4.5272 3.8699  0.090
H 4.9259 -1.5128 4.0161  0.106
H 4.9141 -1.4878 5.7253  0.114
H 2.4628 -1.5003 5.0731  0.108
H 2.8087 -2.9400 5.8652  0.103
H 3.1993 -4.0468 3.8723  0.070
H 0.7573 -4.2406 3.1337  0.115
H 0.6792 -3.3349 4.6952  0.117
H 0.3992 -5.5093 5.0669  0.129
H 1.9173 -4.9453 5.8215  0.117
H 3.5321 -7.4251 5.0087  0.085
H 2.1197 -8.2009 4.5050  0.085
H 2.1333 -7.2945 6.0654  0.093
C -3.2825 4.8240 -4.3671  -0.085
O -3.2335 3.4143 -4.0684  -0.242
C -2.9235 2.6059 -5.2406  -0.202
C -4.1331 1.7409 -5.5876  -0.218
N -4.3890 0.8790 -4.4243  -0.050
C -5.6751 0.1117 -4.6424  -0.186
C -6.0916 -0.8871 -3.5831  -0.190
O -5.5268 -2.2055 -3.6727  -0.158
C -4.2337 -2.3546 -3.4545  -0.184
H -3.8252 5.1877 -3.4946  0.074
H -3.9392 5.0200 -5.2147  0.099
H -2.3993 5.4497 -4.2386  0.094
H -1.9714 2.0809 -5.1631  0.123
H -2.7457 3.1363 -6.1761  0.117
H -4.0454 1.1334 -6.4883  0.119
H -4.8967 2.4333 -5.9421  0.122
H -3.6445 0.2037 -4.3252  0.094
H -5.5443 -0.5204 -5.5206  0.119
H -6.4909 0.8118 -4.8227  0.120
H -7.1779 -0.9697 -3.5458  0.126
H -5.9252 -0.4070 -2.6188  0.121
H -3.7843 -1.5297 -2.9016  0.089
H -3.7054 -2.3751 -4.4077  0.089
H -4.1007 -3.2471 -2.8430  0.100

Forces on atoms 1 to 2 (eV/Å):
Li -0.4 -0.4 1.3
Li -0.7 0.7 -0.2

----------

Entry 1:
Computed, not measured: 5 unconnected molecules or ions with the total composition C23H55ClN5O6S, with ωB97M-V/def2-TZVPD.

For the LUMO energy, the calculation gives -2.7 eV. Its HOMO energy is -0.428 Ha. The molar mass comes out at 565.2 g/mol. Its net charge is +1. As for the total energy: -2492.68286 Eh. The spin multiplicity is 1. Its HOMO-LUMO gap is 8.9199 eV.

Each line ends with the Löwdin charge.
Cartesian coordinates (Å):
Cl  0.6893  -1.9615  3.1482  0.68
S  1.9298  0.4093  -4.1750  0.86
O  -6.5540  -0.8541  -3.5935  -0.09
O  -4.9661  1.2258  -0.2539  -0.04
O  -1.3754  -0.5010  -5.6997  -0.10
O  0.5414  5.1173  6.2786  -0.09
O  -6.2809  0.6708  1.4620  0.15
O  5.8813  -1.0256  0.4934  -0.11
N  2.4699  -0.3029  -1.2952  0.16
N  -0.8897  2.5558  3.4334  0.02
N  0.8286  1.2017  -0.4767  0.02
N  1.3045  1.0816  -2.7330  -0.29
N  2.3720  -2.4432  -0.2728  0.10
C  -1.4591  2.3183  -0.3887  -0.16
C  2.0371  -0.9357  2.5003  -0.59
........

(Reply)
Geometry (Å):
Li -7.3355 2.9372 1.3449  0.645
Li 0.8321 -0.8307 0.9654  0.832
Li -3.9489 1.8614 4.5390  0.861
Li -4.1786 2.7466 -1.9351  0.696
C -8.7220 2.4113 4.7451  -1.193
O -7.5391 2.7223 4.6321  -0.151
O -9.1606 2.0058 5.7968  -0.035
O -9.5063 2.3407 3.7665  -0.094
C -2.6102 0.9973 0.9681  -1.226
O -3.7834 1.5409 0.9860  -0.238
O -1.9899 1.0741 -0.0698  -0.142
O -2.0933 0.5207 1.9419  -0.124
C 3.3113 6.1667 -1.7849  -0.129
O 3.0080 5.1137 -0.9125  -0.180
C 4.1502 4.4534 -0.4780  -0.234
C 3.7439 3.1587 0.3237  -0.182
N 3.0241 2.0985 -0.4105  -0.052
C 3.9089 1.6524 -1.4818  -0.205
C 3.3277 0.3915 -2.2528  -0.191
O 2.9354 -0.6839 -1.4230  -0.206
C 3.3316 -1.9722 -1.7493  -0.125
H 4.1182 6.8695 -1.5775  0.086
H 2.4852 6.8726 -1.8715  0.088
H 3.5455 5.7680 -2.7719  0.087
H 4.4895 5.1965 0.2437  0.121
H 4.9197 4.2877 -1.2320  0.114
H 3.0586 3.4731 1.1108  0.114
H 4.5769 2.6881 0.8460  0.112
H 2.1369 2.4564 -0.7343  0.114
H 4.9355 1.5061 -1.1460  0.119
H 4.0299 2.3374 -2.3210  0.105
H 4.0172 0.0818 -3.0382  0.114
H 2.4777 0.7531 -2.8315  0.115
H 3.8004 -2.3086 -0.8245  0.080
H 4.2205 -2.1055 -2.3659  0.094
H 2.4656 -2.6010 -1.9560  0.091
C 6.0431 -3.5636 3.7275  -0.114
O 5.1983 -3.4272 4.8814  -0.213
C 4.5822 -2.0862 4.8769  -0.156
C 3.0504 -2.4093 4.9443  -0.198
N 2.5960 -3.2397 3.8046  -0.049
C 1.2944 -3.9470 4.0357  -0.197
C 1.4211 -5.1794 4.8797  -0.221
O 2.2638 -6.1694 4.2437  -0.182
C 2.4494 -7.2998 5.0223  -0.135
H 6.8394 -2.8245 3.8152  0.079
H 5.5828 -3.4070 2.7519  0.083
H 6.5322 -4.5272 3.8699  0.090
H 4.9259 -1.5128 4.0161  0.106
H 4.9141 -1.4878 5.7253  0.114
H 2.4628 -1.5003 5.0731  0.108
H 2.8087 -2.9400 5.8652  0.103
H 3.1993 -4.0468 3.8723  0.070
H 0.7573 -4.2406 3.1337  0.115
H 0.6792 -3.3349 4.6952  0.117
H 0.3992 -5.5093 5.0669  0.129
H 1.9173 -4.9453 5.8215  0.117
H 3.5321 -7.4251 5.0087  0.085
H 2.1197 -8.2009 4.5050  0.085
H 2.1333 -7.2945 6.0654  0.093
C -3.2825 4.8240 -4.3671  -0.085
O -3.2335 3.4143 -4.0684  -0.242
C -2.9235 2.6059 -5.2406  -0.202
C -4.1331 1.7409 -5.5876  -0.218
N -4.3890 0.8790 -4.4243  -0.050
C -5.6751 0.1117 -4.6424  -0.186
C -6.0916 -0.8871 -3.5831  -0.190
O -5.5268 -2.2055 -3.6727  -0.158
C -4.2337 -2.3546 -3.4545  -0.184
H -3.8252 5.1877 -3.4946  0.074
H -3.9392 5.0200 -5.2147  0.099
H -2.3993 5.4497 -4.2386  0.094
H -1.9714 2.0809 -5.1631  0.123
H -2.7457 3.1363 -6.1761  0.117
H -4.0454 1.1334 -6.4883  0.119
H -4.8967 2.4333 -5.9421  0.122
H -3.6445 0.2037 -4.3252  0.094
H -5.5443 -0.5204 -5.5206  0.119
H -6.4909 0.8118 -4.8227  0.120
H -7.1779 -0.9697 -3.5458  0.126
H -5.9252 -0.4070 -2.6188  0.121
H -3.7843 -1.5297 -2.9016  0.089
H -3.7054 -2.3751 -4.4077  0.089
H -4.1007 -3.2471 -2.8430  0.100

Forces on atoms 1 to 2 (eV/Å):
Li -0.4 -0.4 1.3
Li -0.7 0.7 -0.2

----------

Entry 1:
Computed, not measured: 5 unconnected molecules or ions with the total composition C23H55ClN5O6S, with ωB97M-V/def2-TZVPD.

For the LUMO energy, the calculation gives -2.7 eV. Its HOMO energy is -0.428 Ha. The molar mass comes out at 565.2 g/mol. Its net charge is +1. As for the total energy: -2492.68286 Eh. The spin multiplicity is 1. Its HOMO-LUMO gap is 8.9199 eV.

Each line ends with the Löwdin charge.
Cartesian coordinates (Å):
Cl  0.6893  -1.9615  3.1482  0.68
S  1.9298  0.4093  -4.1750  0.86
O  -6.5540  -0.8541  -3.5935  -0.09
O  -4.9661  1.2258  -0.2539  -0.04
O  -1.3754  -0.5010  -5.6997  -0.10
O  0.5414  5.1173  6.2786  -0.09
O  -6.2809  0.6708  1.4620  0.15
O  5.8813  -1.0256  0.4934  -0.11
N  2.4699  -0.3029  -1.2952  0.16
N  -0.8897  2.5558  3.4334  0.02
N  0.8286  1.2017  -0.4767  0.02
N  1.3045  1.0816  -2.7330  -0.29
N  2.3720  -2.4432  -0.2728  0.10
C  -1.4591  2.3183  -0.3887  -0.16
C  2.0371  -0.9357  2.5003  -0.59